**Source**
=====
Computed, not measured: a relaxed structure of Na5Mg5In3S12O48 at the GGA-PBE level of DFT.

Summary:
calculated total energy = -876.1 eV per cell
formation energy from the elements = -2.206 eV per atom
corrected total energy (MP2020 scheme) = -471.02 eV/f.u.

a = 8.767 Å, b = 9.035 Å, c = 29.212 Å
α = 88.97°, β = 81.40°, γ = 61.01°
Fractional positions:
1 Na 0.000 0.000 0.000
2 Na 0.001 0.127 0.557
3 Na 0.004 0.620 0.060
4 Na 0.240 0.005 0.188
5 Na 0.251 0.503 0.682
6 Na 0.501 0.878 0.807
7 Na 0.503 0.377 0.307
8 Na 0.516 0.910 0.086
9 Na 0.736 0.263 0.930
10 Na 0.751 0.753 0.432
11 Mg 0.030 0.407 0.218
12 Mg 0.030 0.908 0.719
13 Mg 0.224 0.228 0.020
14 Mg 0.472 0.097 0.646
15 Mg 0.474 0.589 0.146
16 Mg 0.530 0.158 0.469
17 Mg 0.533 0.655 0.970
18 Mg 0.776 0.045 0.098
19 Mg 0.971 0.348 0.396
20 Mg 0.973 0.847 0.895
21 In 0.224 0.719 0.520
22 In 0.278 0.288 0.845
23 In 0.278 0.786 0.345
24 In 0.724 0.469 0.770
25 In 0.724 0.969 0.270
26 In 0.778 0.536 0.595
27 S 0.179 0.182 0.744
28 S 0.179 0.681 0.244
29 S 0.229 0.861 0.068
30 S 0.230 0.506 0.420
31 S 0.233 0.357 0.569
32 S 0.235 0.008 0.921
33 S 0.269 0.149 0.296
34 S 0.269 0.649 0.796
35 S 0.270 0.501 0.946
36 S 0.271 0.999 0.445
37 S 0.323 0.823 0.621
38 S 0.328 0.316 0.120
39 S 0.675 0.938 0.995
40 S 0.678 0.432 0.494
41 S 0.728 0.760 0.169
42 S 0.730 0.256 0.670
43 S 0.733 0.107 0.819
44 S 0.733 0.607 0.319
45 S 0.769 0.898 0.546
46 S 0.772 0.247 0.195
47 S 0.772 0.749 0.695
48 S 0.775 0.391 0.046
49 S 0.823 0.073 0.371
50 S 0.823 0.573 0.871
51 O 0.004 0.340 0.756
52 O 0.005 0.840 0.256
53 O 0.052 0.872 0.074
54 O 0.058 0.359 0.573
55 O 0.065 0.508 0.414
56 O 0.066 0.010 0.917
57 O 0.131 0.671 0.937
58 O 0.133 0.166 0.436
59 O 0.152 0.267 0.336
60 O 0.153 0.767 0.835
61 O 0.159 0.534 0.234
62 O 0.160 0.034 0.735
63 O 0.182 0.637 0.458
64 O 0.193 0.130 0.960
65 O 0.199 0.196 0.252
66 O 0.200 0.697 0.752
67 O 0.200 0.949 0.489
68 O 0.201 0.534 0.562
69 O 0.203 0.446 0.989
70 O 0.212 0.029 0.057
71 O 0.222 0.787 0.661
72 O 0.227 0.282 0.160
73 O 0.230 0.858 0.580
74 O 0.235 0.347 0.079
75 O 0.272 0.147 0.786
76 O 0.273 0.646 0.285
77 O 0.280 0.218 0.705
78 O 0.280 0.717 0.204
79 O 0.299 0.060 0.877
80 O 0.301 0.310 0.613
81 O 0.301 0.472 0.803
82 O 0.301 0.557 0.376
83 O 0.301 0.972 0.303
84 O 0.305 0.814 0.112
85 O 0.316 0.375 0.906
86 O 0.318 0.868 0.408
87 O 0.341 0.971 0.631
88 O 0.343 0.735 0.030
89 O 0.346 0.466 0.130
90 O 0.349 0.239 0.530
91 O 0.368 0.339 0.430
92 O 0.373 0.837 0.928
93 O 0.436 0.499 0.951
94 O 0.437 0.996 0.451
95 O 0.443 0.146 0.292
96 O 0.444 0.647 0.792
97 O 0.495 0.084 0.006
98 O 0.498 0.665 0.610
99 O 0.504 0.590 0.506
100 O 0.505 0.160 0.110
101 O 0.558 0.610 0.323
102 O 0.559 0.109 0.824
103 O 0.562 0.761 0.162
104 O 0.565 0.258 0.664
105 O 0.633 0.916 0.686
106 O 0.635 0.418 0.187
107 O 0.652 0.017 0.585
108 O 0.656 0.516 0.085
109 O 0.660 0.284 0.484
110 O 0.668 0.781 0.985
111 O 0.678 0.886 0.208
112 O 0.682 0.387 0.708
113 O 0.700 0.699 0.739
114 O 0.700 0.946 0.502
115 O 0.701 0.283 0.812
116 O 0.701 0.784 0.312
117 O 0.702 0.438 0.002
118 O 0.703 0.196 0.239
119 O 0.722 0.036 0.411
120 O 0.723 0.536 0.910
121 O 0.730 0.107 0.330
122 O 0.730 0.608 0.830
123 O 0.767 0.910 0.036
124 O 0.772 0.397 0.536
125 O 0.778 0.976 0.956
126 O 0.780 0.468 0.455
127 O 0.790 0.819 0.125
128 O 0.798 0.218 0.055
129 O 0.801 0.307 0.626
130 O 0.801 0.722 0.553
131 O 0.802 0.560 0.363
132 O 0.803 0.059 0.863
133 O 0.812 0.122 0.157
134 O 0.818 0.618 0.658
135 O 0.841 0.221 0.381
136 O 0.841 0.721 0.881
137 O 0.850 0.489 0.280
138 O 0.850 0.989 0.780
139 O 0.868 0.089 0.680
140 O 0.868 0.591 0.177
141 O 0.937 0.746 0.701
142 O 0.939 0.243 0.201
143 O 0.944 0.896 0.542
144 O 0.949 0.385 0.041
145 O 0.998 0.415 0.860
146 O 0.998 0.915 0.360
=====
**Wanted**
Search the material earlier on for the word "relaxed" and retype each line that has it.
**Outcome**
Computed, not measured: a relaxed structure of Na5Mg5In3S12O48 at the GGA-PBE level of DFT.